Entries =
No. 1
DFT (ωB97M-V with the def2-TZVPD basis set) results for an isolated ion of composition C14H20N and charge +1.

Element x y z (Å)
C1 -3.36968 1.36613 0.43515
C2 -2.71151 0.82425 1.53143
C3 -2.99818 0.99113 -0.84830
C4 -1.69887 -0.09431 1.34876
C5 -1.94764 0.11678 -1.04149
C6 -1.28180 -0.44566 0.05514
C7 -0.97267 -3.04467 1.39738
C8 1.82578 -1.88897 -1.58701
C9 0.01165 -2.47740 0.67753
C10 0.97710 -0.81414 -0.91516
C11 2.16403 2.09326 -1.12631
C12 1.00409 2.14445 0.99883
C13 1.96921 0.04126 0.13098
C14 -0.14115 -1.31772 -0.13885
N1 1.90600 1.43328 0.13247
H1 -4.16645 2.07763 0.58332
H2 -2.98823 1.12422 2.53049
H3 -3.52885 1.38612 -1.70078
H4 -1.17020 -0.48555 2.20527
H5 -1.67379 -0.18758 -2.04042
H6 -0.77158 -3.89827 2.02212
H7 -1.99055 -2.69352 1.37028
H8 2.54659 -1.43646 -2.26333
H9 1.18862 -2.55335 -2.16813
H10 0.99240 -2.93258 0.70189
H11 0.64863 -0.07471 -1.64780
H12 2.56542 3.08863 -0.94216
H13 2.89104 1.52683 -1.70545
H14 1.24995 2.20825 -1.72263
H15 0.94559 1.65135 1.96489
H16 1.38837 3.15238 1.14069
H17 -0.00105 2.22653 0.57382
H18 1.81087 -0.34890 1.13633
H19 2.37162 -2.49270 -0.86554
H20 2.95528 -0.26598 -0.22342

Atoms 1-3, force components in eV/Å:
C 0.15 -0.11 0.09
C -0.10 0.08 0.00
C -0.01 0.00 -0.13

## Properties
charge: +1
LUMO level (spin up / spin down): -5.6 / -5.6 eV
Kohn-Sham gap (spin up / spin down): 0.2288 / 0.2288 hartree
E_HOMO (spin up / spin down): -0.43289 / -0.43285 Eh

No. 2
DFT (ωB97M-V with the def2-TZVPD basis set) results for C4H9N3 in the gas phase.

Element x y z (Å)
H1 -1.71689 1.94624 -1.88543
N1 -1.11004 1.13607 -1.73295
C1 -0.72875 1.05661 -0.51103
N2 -1.08317 2.00131 0.41091
C2 0.10400 -0.35196 -0.07621
C3 -0.26999 -1.58325 -0.80668
C4 1.05439 0.05044 0.71195
N3 1.79191 -1.19253 1.34476
H2 -1.02990 1.72247 1.38190
H3 -1.90068 2.56218 0.20148
H4 0.53219 -1.88570 -1.48399
H5 -1.18047 -1.44480 -1.39607
H6 -0.45637 -2.40152 -0.10437
H7 1.23062 0.94439 1.29164
H8 2.46541 -0.85852 2.03218
H9 2.29774 -1.70143 0.62192

Atoms 1-3, force components in eV/Å:
H 0.25 -0.02 -0.02
N 0.24 -0.39 0.40
C -0.42 -2.67 -1.75

## Properties
LUMO level: 0.9 eV
Kohn-Sham gap: 0.3552 hartree
E_HOMO: -0.32230 Eh

No. 3
DFT (ωB97M-V with the def2-TZVPD basis set) results for a 12-piece molecular cluster, C60H54F9N3 overall.

Element x y z (Å)
F1 1.47883 -0.47884 -4.49244
C1 1.15781 0.82874 -4.64048
C2 -0.18403 1.15634 -4.64243
C3 -0.53639 2.47119 -4.76892
C4 0.45036 3.46089 -4.79924
C5 1.79671 3.10937 -4.70611
C6 2.15975 1.76390 -4.74678
H1 -0.87501 0.32422 -4.59082
H2 -1.57117 2.76968 -4.87427
H3 0.12481 4.48336 -4.94208
H4 2.55870 3.85444 -4.90784
H5 3.20735 1.49762 -4.72877
F2 -3.37027 2.15434 -2.97119
C7 -4.50564 1.63535 -3.48792
C8 -4.50122 1.15356 -4.77914
C9 -5.66262 0.56341 -5.25658
C10 -6.76229 0.46072 -4.43557
C11 -6.78633 1.09931 -3.19507
C12 -5.62440 1.65501 -2.69511
H6 -3.60070 1.18299 -5.37937
H7 -5.69734 0.22382 -6.28234
H8 -7.68015 0.06162 -4.85515
H9 -7.67562 0.98659 -2.58913
H10 -5.63446 2.06432 -1.69399
F3 1.64844 0.44455 0.97755
C13 0.64197 -0.03073 0.18639
C14 0.22402 -1.32860 0.30233
C15 -0.79387 -1.77063 -0.54933
C16 -1.44182 -0.85235 -1.37471
C17 -0.97748 0.45130 -1.47118
C18 0.03222 0.88021 -0.64058
H11 0.71842 -2.07067 0.91046
H12 -1.02511 -2.82962 -0.56108
H13 -2.26885 -1.18529 -1.99717
H14 -1.49804 1.19770 -2.05368
H15 0.46445 1.86690 -0.74398
F4 -8.41611 -2.38288 0.58860
C19 -7.29269 -2.74870 -0.06772
C20 -7.08724 -2.19869 -1.32020
C21 -5.85653 -2.30545 -1.94210
C22 -4.82929 -2.90452 -1.21458
C23 -5.04747 -3.46675 0.03462
C24 -6.29874 -3.40266 0.62180
H16 -7.91272 -1.68837 -1.80425
H17 -5.78382 -2.00716 -2.97830
H18 -3.83919 -2.99498 -1.65518
H19 -4.26089 -4.01511 0.53571
H20 -6.44457 -3.80151 1.61578
F5 6.55509 -0.39547 -3.68330
C25 6.05237 0.15919 -2.54457
C26 4.67850 0.38419 -2.49580
C27 4.15837 1.12090 -1.46067
C28 5.02391 1.59561 -0.46639
C29 6.38556 1.29850 -0.50078
C30 6.91047 0.60943 -1.57217
H21 4.12622 0.12315 -3.38969
H22 3.09371 1.29846 -1.44912

Wanted =
What is needed: return all of the rows further above with every line break kept.

Response =
No. 1
DFT (ωB97M-V with the def2-TZVPD basis set) results for an isolated ion of composition C14H20N and charge +1.

Element x y z (Å)
C1 -3.36968 1.36613 0.43515
C2 -2.71151 0.82425 1.53143
C3 -2.99818 0.99113 -0.84830
C4 -1.69887 -0.09431 1.34876
C5 -1.94764 0.11678 -1.04149
C6 -1.28180 -0.44566 0.05514
C7 -0.97267 -3.04467 1.39738
C8 1.82578 -1.88897 -1.58701
C9 0.01165 -2.47740 0.67753
C10 0.97710 -0.81414 -0.91516
C11 2.16403 2.09326 -1.12631
C12 1.00409 2.14445 0.99883
C13 1.96921 0.04126 0.13098
C14 -0.14115 -1.31772 -0.13885
N1 1.90600 1.43328 0.13247
H1 -4.16645 2.07763 0.58332
H2 -2.98823 1.12422 2.53049
H3 -3.52885 1.38612 -1.70078
H4 -1.17020 -0.48555 2.20527
H5 -1.67379 -0.18758 -2.04042
H6 -0.77158 -3.89827 2.02212
H7 -1.99055 -2.69352 1.37028
H8 2.54659 -1.43646 -2.26333
H9 1.18862 -2.55335 -2.16813
H10 0.99240 -2.93258 0.70189
H11 0.64863 -0.07471 -1.64780
H12 2.56542 3.08863 -0.94216
H13 2.89104 1.52683 -1.70545
H14 1.24995 2.20825 -1.72263
H15 0.94559 1.65135 1.96489
H16 1.38837 3.15238 1.14069
H17 -0.00105 2.22653 0.57382
H18 1.81087 -0.34890 1.13633
H19 2.37162 -2.49270 -0.86554
H20 2.95528 -0.26598 -0.22342

Atoms 1-3, force components in eV/Å:
C 0.15 -0.11 0.09
C -0.10 0.08 0.00
C -0.01 0.00 -0.13

## Properties
charge: +1
LUMO level (spin up / spin down): -5.6 / -5.6 eV
Kohn-Sham gap (spin up / spin down): 0.2288 / 0.2288 hartree
E_HOMO (spin up / spin down): -0.43289 / -0.43285 Eh

No. 2
DFT (ωB97M-V with the def2-TZVPD basis set) results for C4H9N3 in the gas phase.

Element x y z (Å)
H1 -1.71689 1.94624 -1.88543
N1 -1.11004 1.13607 -1.73295
C1 -0.72875 1.05661 -0.51103
N2 -1.08317 2.00131 0.41091
C2 0.10400 -0.35196 -0.07621
C3 -0.26999 -1.58325 -0.80668
C4 1.05439 0.05044 0.71195
N3 1.79191 -1.19253 1.34476
H2 -1.02990 1.72247 1.38190
H3 -1.90068 2.56218 0.20148
H4 0.53219 -1.88570 -1.48399
H5 -1.18047 -1.44480 -1.39607
H6 -0.45637 -2.40152 -0.10437
H7 1.23062 0.94439 1.29164
H8 2.46541 -0.85852 2.03218
H9 2.29774 -1.70143 0.62192

Atoms 1-3, force components in eV/Å:
H 0.25 -0.02 -0.02
N 0.24 -0.39 0.40
C -0.42 -2.67 -1.75

## Properties
LUMO level: 0.9 eV
Kohn-Sham gap: 0.3552 hartree
E_HOMO: -0.32230 Eh

No. 3
DFT (ωB97M-V with the def2-TZVPD basis set) results for a 12-piece molecular cluster, C60H54F9N3 overall.

Element x y z (Å)
F1 1.47883 -0.47884 -4.49244
C1 1.15781 0.82874 -4.64048
C2 -0.18403 1.15634 -4.64243
C3 -0.53639 2.47119 -4.76892
C4 0.45036 3.46089 -4.79924
C5 1.79671 3.10937 -4.70611
C6 2.15975 1.76390 -4.74678
H1 -0.87501 0.32422 -4.59082
H2 -1.57117 2.76968 -4.87427
H3 0.12481 4.48336 -4.94208
H4 2.55870 3.85444 -4.90784
H5 3.20735 1.49762 -4.72877
F2 -3.37027 2.15434 -2.97119
C7 -4.50564 1.63535 -3.48792
C8 -4.50122 1.15356 -4.77914
C9 -5.66262 0.56341 -5.25658
C10 -6.76229 0.46072 -4.43557
C11 -6.78633 1.09931 -3.19507
C12 -5.62440 1.65501 -2.69511
H6 -3.60070 1.18299 -5.37937
H7 -5.69734 0.22382 -6.28234
H8 -7.68015 0.06162 -4.85515
H9 -7.67562 0.98659 -2.58913
H10 -5.63446 2.06432 -1.69399
F3 1.64844 0.44455 0.97755
C13 0.64197 -0.03073 0.18639
C14 0.22402 -1.32860 0.30233
C15 -0.79387 -1.77063 -0.54933
C16 -1.44182 -0.85235 -1.37471
C17 -0.97748 0.45130 -1.47118
C18 0.03222 0.88021 -0.64058
H11 0.71842 -2.07067 0.91046
H12 -1.02511 -2.82962 -0.56108
H13 -2.26885 -1.18529 -1.99717
H14 -1.49804 1.19770 -2.05368
H15 0.46445 1.86690 -0.74398
F4 -8.41611 -2.38288 0.58860
C19 -7.29269 -2.74870 -0.06772
C20 -7.08724 -2.19869 -1.32020
C21 -5.85653 -2.30545 -1.94210
C22 -4.82929 -2.90452 -1.21458
C23 -5.04747 -3.46675 0.03462
C24 -6.29874 -3.40266 0.62180
H16 -7.91272 -1.68837 -1.80425
H17 -5.78382 -2.00716 -2.97830
H18 -3.83919 -2.99498 -1.65518
H19 -4.26089 -4.01511 0.53571
H20 -6.44457 -3.80151 1.61578
F5 6.55509 -0.39547 -3.68330
C25 6.05237 0.15919 -2.54457
C26 4.67850 0.38419 -2.49580
C27 4.15837 1.12090 -1.46067
C28 5.02391 1.59561 -0.46639
C29 6.38556 1.29850 -0.50078
C30 6.91047 0.60943 -1.57217
H21 4.12622 0.12315 -3.38969
H22 3.09371 1.29846 -1.44912